~~~
Structure and simulated powder diffraction line list of La7Nd2Er3 (the GGA-PBE geometry in Alexandria; CuKα).

Principal peaks in the range 2θ = 15–90°, in order of rising 2θ:
d (Å)	2θ (°)	I/Imax
3.080	28.99	58.8
2.981	29.97	87.2
2.960	30.19	96.2
2.929	30.52	100.0
2.749	32.57	68.1
2.629	34.10	90.6

Cell and atoms:
```
data_La7Nd2Er3
_cell_length_a 6.5592
_cell_length_b 3.6013
_cell_length_c 17.8410
_cell_angle_alpha 90.00
_cell_angle_beta 95.50
_cell_angle_gamma 90.00
_space_group_name_H-M_alt 'P 1 2/m 1'
_space_group_IT_number 10
_space_group_name_Hall '-P 2y'
loop_
_atom_site_label
_atom_site_type_symbol
_atom_site_fract_x
_atom_site_fract_y
_atom_site_fract_z
_atom_site_occupancy
La1 La 0.0000 0.0000 0.0000 1
La2 La 0.2288 0.5000 0.1720 1
La3 La 0.2624 0.5000 0.4908 1
La4 La 0.2819 0.0000 0.8348 1
Nd1 Nd 0.0599 0.5000 0.6700 1
Er1 Er 0.4573 0.0000 0.3385 1
Er2 Er 0.5000 0.5000 0.0000 1
```

=====

Starting from a structure optimized by DFT (GGA-PBE), the X-ray powder pattern of LiTc2AgO8 was simulated for copper Kα.

Structure:
a = 5.8920 Å, b = 5.8920 Å, c = 6.2481 Å
α = 90.00°, β = 90.00°, γ = 120.00°
Space group P-3m1 (No. 164)
Asymmetric unit:
Li  0.0000  0.0000  0.0000 (multiplicity 1)
Tc  0.3333  0.6667  0.7046 (multiplicity 2)
Ag  0.0000  0.0000  0.5000 (multiplicity 1)
O  0.1697  0.3394  0.7901 (multiplicity 6)
O  0.3333  0.6667  0.4285 (multiplicity 2)

Largest 10 diffraction maxima, by angle, 10 to 80 degrees two-theta:
14.2 deg, intensity 36, hkl 0 0 1
22.5 deg, intensity 100, hkl 0 1 1
30.3 deg, intensity 63, hkl 1 1 0
33.6 deg, intensity 71, hkl 0 1 2
45.9 deg, intensity 25, hkl 2 0 2
47.1 deg, intensity 22, hkl 1 0 3
49.5 deg, intensity 22, hkl 1 2 1
56.0 deg, intensity 23, hkl 1 2 2
63.1 deg, intensity 13, hkl 2 2 0
66.0 deg, intensity 15, hkl 2 1 3

=====

Diffraction record for PrZn2Ni2P. The powder diffractogram is theoretical, not measured: it uses the PBE geometry in Alexandria and Cu Kα, 1.54184 Å.
Neutral-atom scattering factors, no anomalous dispersion.

Cell and atoms:
a b c (Å): 4.277 4.277 5.607
angles (deg): 90.00 90.00 90.00
Space group P4/mmm (No. 123)
Unique sites:
1 Pr 0.000 0.000 0.000 [1 per cell]
2 Zn 0.500 0.500 0.236 [2 per cell]
3 Ni 0.000 0.500 0.500 [2 per cell]
4 P 0.000 0.000 0.500 [1 per cell]

The 10 most intense peaks (2θ = 10–90°), in order of rising 2θ:
2theta  I_rel
26.21  26
29.54  35
33.67  95
38.39  100
42.26  77
58.41  57
61.30  24
71.80  20
74.68  18
82.23  20

***

Diffraction record for NdDy2NpN4. The powder diffractogram is theoretical, not measured: it uses the PBE geometry in Alexandria and Cu Kα, 1.54184 Å.
Neutral-atom scattering factors, no anomalous dispersion.

Cell and atoms:
a b c (Å): 3.424 13.137 10.979
angles (deg): 90.00 90.00 90.00
Space group Cmcm (No. 63)
Unique sites:
1 Nd 0.000 0.232 0.250 [4 per cell]
2 Dy 0.000 0.372 0.513 [8 per cell]
3 Np 0.000 0.035 0.750 [4 per cell]
4 N 0.000 0.000 0.000 [4 per cell]
5 N 0.000 0.201 0.612 [8 per cell]
6 N 0.000 0.423 0.750 [4 per cell]

The 10 most intense peaks (2θ = 10–90°), in order of rising 2θ:
2theta  I_rel
31.54  100
31.75  85
32.62  56
33.22  30
34.24  39
43.42  22
47.25  26
53.84  17
57.54  18
63.60  24

***

Diffraction record for Sr3Sb2Rh. The powder diffractogram is theoretical, not measured: it uses the PBE geometry in Alexandria and Cu Kα, 1.54184 Å.
Neutral-atom scattering factors, no anomalous dispersion.

Cell and atoms:
a b c (Å): 12.939 4.563 13.044
angles (deg): 90.00 90.00 90.00
Space group Pnma (No. 62)
Unique sites:
1 Sr 0.058 0.250 0.124 [4 per cell]
2 Sr 0.114 0.750 0.547 [4 per cell]
3 Sr 0.221 0.250 0.795 [4 per cell]
4 Sb 0.020 0.750 0.309 [4 per cell]
5 Sb 0.200 0.750 0.986 [4 per cell]
6 Rh 0.127 0.250 0.364 [4 per cell]

The 10 most intense peaks (2θ = 10–90°), in order of rising 2θ:
2theta  I_rel
15.25  50
27.55  39
28.37  100
31.67  56
34.68  54
35.33  32
36.61  44
39.50  54
45.38  28
57.81  31

***
~~~

Your job: search the rows further above for the word "Li" and echo each line that has it.

Li  0.0000  0.0000  0.0000 (multiplicity 1)